== Work order ==
Say how many lines of the entries underneath hold the word "structure", as a bare number.

== Input ==
<<<
The following is a PBE+U calculation of a geometry-optimized Zn3W2O7 structure, from the Materials Project.

Cell and atoms, written as POSCAR:
```
Zn3W2O7
1.0
9.4478 -2.7229 0.0000
9.4478 2.7229 0.0000
0.0000 0.0000 5.3891
Zn W O
6 4 14
direct
0.0783 0.5148 0.4579
0.2403 0.7597 0.5000
0.4852 0.9217 0.4579
0.5148 0.0783 0.9579
0.7597 0.2403 0.0000
0.9217 0.4852 0.9579
0.1437 0.6494 0.9822
0.3506 0.8563 0.9822
0.6494 0.1437 0.4822
0.8563 0.3506 0.4822
0.0553 0.2104 0.1452
0.1239 0.8761 0.8769
0.1603 0.4292 0.0829
0.2104 0.0553 0.6452
0.3484 0.4985 0.3203
0.4292 0.1603 0.5829
0.4985 0.3484 0.8203
0.5015 0.6516 0.3203
0.5708 0.8397 0.0829
0.6516 0.5015 0.8203
0.7896 0.9447 0.1452
0.8397 0.5708 0.5829
0.8761 0.1239 0.3769
0.9447 0.7896 0.6452
```

Properties
E_form (meV/atom): -1830
Total magnetic moment (Bohr magnetons per cell): 8.00
Raw total energy (eV/cell): -145.2
Space-group type: Cmc2_1, No. 36
Largest piezoelectric modulus (C/m²): 0.36

The following is a PBE+U calculation of a geometry-optimized Mg2Ta2CrO8 structure, from the Materials Project.

Cell and atoms, written as POSCAR:
```
Mg2Ta2CrO8
1.0
5.2085 0.0000 0.0000
-0.1015 6.0789 0.0000
-0.1777 -2.6289 9.7284
Mg Ta Cr O
4 4 2 16
direct
0.0000 0.0000 0.0000
0.0081 0.5468 0.0895
0.4967 0.2859 0.0036
0.5053 0.8327 0.0930
0.0125 0.1260 0.3083
0.4926 0.7072 0.7846
0.5176 0.4513 0.3099
0.9875 0.3818 0.7830
0.0033 0.7652 0.5476
0.5007 0.0682 0.5450
0.1292 0.2596 0.9303
0.1628 0.9737 0.4277
0.1886 0.4288 0.3955
0.2060 0.7140 0.9239
0.2998 0.1189 0.1692
0.3165 0.4045 0.6973
0.3423 0.8588 0.6650
0.3757 0.5732 0.1626
0.6316 0.9672 0.9306
0.6778 0.7033 0.4244
0.6810 0.2139 0.3973
0.7035 0.5042 0.9207
0.8020 0.3281 0.1727
0.8246 0.6196 0.6959
0.8262 0.1313 0.6676
0.8740 0.8655 0.1623
```

Properties
E_form (meV/atom): -3070
Total magnetic moment (Bohr magnetons per cell): 8.00
Raw total energy (eV/cell): -217.1
Space-group type: P1, No. 1

The following is a PBE+U calculation of a geometry-optimized K2RbMn2F7 structure, from the Materials Project.

Cell and atoms, written as POSCAR:
```
K2RbMn2F7
1.0
-2.1418 2.1418 10.9976
2.1418 -2.1418 10.9976
2.1418 2.1418 -10.9976
K Rb Mn F
2 1 2 7
direct
0.1862 0.1862 0.0000
0.8138 0.8138 0.0000
0.0000 0.0000 0.0000
0.4008 0.4008 0.0000
0.5992 0.5992 0.0000
0.0987 0.5987 0.5000
0.3047 0.3047 0.0000
0.4013 0.9013 0.5000
0.5000 0.5000 0.0000
0.5987 0.0987 0.5000
0.6953 0.6953 0.0000
0.9013 0.4013 0.5000
```

Properties
E_form (meV/atom): -3004
Total magnetic moment (Bohr magnetons per cell): 10.00
Raw total energy (eV/cell): -64.4
Space-group type: I4/mmm, No. 139

The following is a PBE+U calculation of a geometry-optimized Rb2MoAs2O9 structure, from the Materials Project.

Cell and atoms, written as POSCAR:
```
Rb2MoAs2O9
1.0
7.6661 0.0000 0.0000
0.2740 7.7888 0.0000
1.9772 3.0647 8.4821
Rb Mo As O
4 2 4 18
direct
0.0836 0.2474 0.1345
0.1896 0.3314 0.6188
0.8104 0.6686 0.3812
0.9164 0.7526 0.8655
0.4261 0.7367 0.7547
0.5739 0.2633 0.2453
0.3166 0.8480 0.4018
0.3277 0.6640 0.1423
0.6723 0.3360 0.8577
0.6834 0.1520 0.5982
0.1129 0.7487 0.4752
0.1191 0.7193 0.1244
0.2691 0.5525 0.8354
0.2870 0.9219 0.7327
0.3308 0.0807 0.3394
0.3449 0.4401 0.2546
0.4310 0.7966 0.2295
0.4614 0.7468 0.5275
0.4830 0.7224 0.9627
0.5170 0.2776 0.0373
0.5386 0.2532 0.4725
0.5690 0.2034 0.7705
0.6551 0.5599 0.7454
0.6692 0.9193 0.6606
0.7130 0.0781 0.2673
0.7309 0.4475 0.1646
0.8809 0.2807 0.8756
0.8871 0.2513 0.5248
```

Properties
E_form (meV/atom): -1957
Total magnetic moment (Bohr magnetons per cell): 0.01
Raw total energy (eV/cell): -169.3
Space-group type: P-1, No. 2

The following is a PBE+U calculation of a geometry-optimized Eu4MgFe4O10 structure, from the Materials Project.

Cell and atoms, written as POSCAR:
```
Eu4MgFe4O10
1.0
5.4836 0.0000 0.0000
-0.0997 5.8488 0.0000
-2.6825 -2.9074 8.0563
Eu Mg Fe O
4 1 4 10
direct
0.0000 0.0000 0.0000
0.1989 0.1574 0.4097
0.5051 0.4636 0.0222
0.7157 0.7166 0.4324
0.1386 0.1092 0.7161
0.1134 0.5869 0.2224
>>>

== Written answer ==
5